Explicit Congestion Notification (ECN) RFC 3168 CISC 856 –TCP/IP, Fall 2007 Presented by: Guna Ranjan guna@udel.edu Special thanks to: Dr. Paul Amer Justin Yackoski, Namratha Hundigopal & Preethi Natarajan (for slides)
Overview The problem - Congestion Existing solutions - TCP’s basic congestion mechanisms Active Queue Management (AQM) Explicit Congestion Notification (ECN) Additional fields in IP & TCP headers ECN - Sequence of events Advantages of ECN
What is congestion? In real life? In a network? Having a closer look – When resource demand exceeds the capacity of a system. Ex: Rush hour traffic on I-95 In a network? When the number of packets being transmitted approaches the packet handling capacity of the network Having a closer look – Congestion occurs at a router when the output capacity is less than the total sum of inputs from multiple streams
At the congested router … Router’s buffer gets filled up because input > output Consequences? End-to-End delay increases as buffer fills up When buffer is full, router drops packets using the “tail-drop” approach packet loss Sender Receiver Packets being dropped
Current TCP (without ECN) TCP sender treats network as a “black-box” and assumes packet loss as an indication of congestion Congestion detection Retransmit timeout 3 duplicate acks Congestion avoidance Happens after congestion has already occurred (Multiplicative decrease of cwnd AFTER loss) Current TCP does something like congestion recovery!! What could go wrong with this approach??
(Someone pasted materials data at this point)
VASP calculation (PBE) on an optimized crystal structure of Lu2GaTc. Values from VASP.

Properties
* DFT formation energy: -121 kJ/mol of formula units
* M_tot: 0.0003 μB per atom
* volume: 80 Å³/f.u.
* total DFT energy (no corrections): -23.69 eV per cell

Structure (Quantum ESPRESSO input):
```
&SYSTEM
  ibrav = 0, nat = 4, ntyp = 3
/
ATOMIC_SPECIES
Lu 174.97 Lu.upf
Ga 69.72 Ga.upf
Tc 98.00 Tc.upf
ATOMIC_POSITIONS crystal
Lu 0.250 0.250 0.250
Lu 0.750 0.750 0.750
Ga 0.500 0.500 0.500
Tc 0.000 0.000 0.000
CELL_PARAMETERS angstrom
0.000 3.426 3.426
3.426 0.000 3.426
3.426 3.426 0.000
```

* * * * *

(1)
An optimized crystal structure of GdUN2. Source: Materials Project, functional r²SCAN.

Lattice parameters (Å, degrees): 3.4645 3.4645 6.1279 73.58 90.00 120.00
Closest atoms and distances in Å follow each position.
Element x y z (fractional)
Gd  0.2500  0.5000  0.2500  6 N 2.51
U  0.7500  0.5000  0.7500  6 N 2.43
N  0.0041  0.0081  0.9878  3 U 2.43, 3 Gd 2.51
N  0.4959  0.9919  0.5122  3 U 2.43, 3 Gd 2.51

For the formation enthalpy at 0 K, the calculation gives -1716.1 meV per atom. The total DFT energy (no corrections) is -37.1152 eV per atom.

(2)
An optimized crystal structure of SnO2. Source: Materials Project, functional r²SCAN.

Lattice parameters (Å, degrees): 4.7267 5.7633 15.9262 90.00 90.00 90.00
Closest atoms and distances in Å follow each position.
Element x y z (fractional)
Sn  0.9974  0.3465  0.4161  6 O 2.06-2.08
Sn  0.5026  0.1535  0.9161  6 O 2.06-2.08
Sn  0.0026  0.3465  0.0839  6 O 2.06-2.08
Sn  0.0000  0.0281  0.2500  6 O 2.03-2.10
Sn  0.9974  0.6535  0.9161  6 O 2.06-2.08
Sn  0.4974  0.8465  0.0839  6 O 2.06-2.08
Sn  0.4974  0.1535  0.5839  6 O 2.06-2.08
Sn  0.5000  0.4719  0.7500  6 O 2.03-2.10
Sn  0.5026  0.8465  0.4161  6 O 2.06-2.08
Sn  0.5000  0.5281  0.2500  6 O 2.03-2.10
Sn  0.0026  0.6535  0.5839  6 O 2.06-2.08
Sn  0.0000  0.9719  0.7500  6 O 2.03-2.10
O  0.2129  0.9297  0.8622  3 Sn 2.07-2.08
O  0.2730  0.1980  0.6949  3 Sn 2.03-2.10
O  0.7871  0.9297  0.6378  3 Sn 2.07-2.08
O  0.7086  0.1249  0.4705  3 Sn 2.06-2.07
O  0.2270  0.3020  0.1949  3 Sn 2.03-2.10
O  0.2871  0.4297  0.8622  3 Sn 2.07-2.08
O  0.7129  0.5703  0.1378  3 Sn 2.07-2.08
O  0.7914  0.3751  0.9705  3 Sn 2.06-2.07
O  0.7086  0.8751  0.9705  3 Sn 2.06-2.07
O  0.2086  0.6249  0.0295  3 Sn 2.06-2.07
O  0.2871  0.5703  0.3622  3 Sn 2.07-2.08
O  0.7129  0.4297  0.6378  3 Sn 2.07-2.08
O  0.2914  0.1249  0.0295  3 Sn 2.06-2.07
O  0.2914  0.8751  0.5295  3 Sn 2.06-2.07
O  0.7730  0.6980  0.8051  3 Sn 2.03-2.10
O  0.2129  0.0703  0.3622  3 Sn 2.07-2.08
O  0.7871  0.0703  0.1378  3 Sn 2.07-2.08
O  0.2730  0.8020  0.1949  3 Sn 2.03-2.10
O  0.7270  0.1980  0.8051  3 Sn 2.03-2.10
O  0.7730  0.3020  0.3051  3 Sn 2.03-2.10
O  0.7270  0.8020  0.3051  3 Sn 2.03-2.10
O  0.2086  0.3751  0.5295  3 Sn 2.06-2.07
O  0.7914  0.6249  0.4705  3 Sn 2.06-2.07
O  0.2270  0.6980  0.6949  3 Sn 2.03-2.10
(So much for the materials data)
What could go wrong? Global synchronization – The flows’ congestion avoidance get synchronized All flows reduce the sending rate at the same time, channel is under-utilized The flows start retransmission and start increasing their sending rate in a similar fashion Slowly congestion builds up again – This cycle repeats Full buffers – If network is operating at capacity, the buffers stay full End-to-End delay is increased due to queuing delays
What could go wrong? (cont’d) Lockout – Queue space is monopolized by a few connections & other connections are locked out Sender-2 Sender-1 Sender-3 Sender-4
Active Queue Management (AQM) Detects and notifies incipient (early/initial) congestion (what is early congestion?) Tries to maintain average queue size in “good” range between min & max thresholds Randomly chooses IP-PDUs to notify congestion (how? ) thmin thmax Average Queue size lies between these thresholds Sender Receiver
Is AQM good enough? AQM is restricted to using packet drops to indicate congestion – not efficient Potential for excessive delays due to retransmissions after packet losses BAD for interactive traffic such as telnet, web-browsing etc – which are sensitive to packet losses Can we do better??
Explicit Congestion Notification ECN is an AQM mechanism Routers notify TCP senders/receivers about incipient congestion – without packet drops How? Through IP and TCP headers TCP treats ECN signals exactly the same as when a single dropped packet is detected – but packets are not actually dropped
ECN bits in IP header ECN 6 bits Differentiated Services Codepoints Reserved 2 bits ECN 2 bits VER 4 bits Time to Live 8 bits HLEN Header Checksum 16 bits Protocol Fragmentation offset 13 bits Flags 3 bits Source IP address 32 bits Options (if any) Destination IP address Data Total Length DS Identification
ECN bits in IP header (cont’d) ECN Field ECT: ECN Capable Transport CE: Congestion Experienced ECT CE 2 bits = 4 ECN Codepoints ECT CE Names for the ECN bits Not-ECT (Not ECN Capable Transport) 1 ECT(1) (ECN Capable Transport (1)) ECT(0) (ECN Capable Transport(0)) CE (Congestion Experienced)
ECN bits in TCP header CWR: Congestion Window Reduced Flag ECE CWR Reserved 4 bits Reserved 6 bits CWR: Congestion Window Reduced Flag ECE: ECN-Echo Flag URG ACK PSH RST SYN FIN Source port address 16 bits Sequence Number 32 bits Acknowledgement Number Destination port address Options (if any) Urgent pointer Checksum Window size Data HLEN 4 bits Reserved 6 bits URG SYN PSH ACK RST FIN
ECN negotiation between TCP end hosts Sender Receiver ECN-Setup SYN CWR=1 SYN=1 ECE=1 ECN-Setup SYN-ACK ECE=1 ACK=1 SYN=1 CWR=0 ACK ACK=1 A host must not set ECT in SYN or SYN-ACK (why?)
Typical sequence of events Event-1 ECN Capability negotiated during Connection Establishment ECN Capable Sender ECN Capable Router ECN Capable Receiver N-PDU ECT set in IP header
Typical sequence of events Event-2 Incipient Congestion, set CE ECN Capable Sender ECN Capable Router ECN Capable Receiver ECT set in IP header N-PDU N-PDU CE set in IP header
Typical sequence of events Event-3 Congestion!! Let me inform the TCP sender ECN Capable Sender ECN Capable Router ECN Capable Receiver ECT set in IP header N-PDU CE set in IP header N-PDU ECE set in TCP header
## Materials data, kept here for reference
┌──
DFT (PBE-GGA) results for a relaxed Li5SbS4 crystal.

Summary:
E: -40.36 eV per formula unit
total magnetization: 0.020 μB per cell
relative energy among the computed polymorphs: 0.05 eV/f.u.
formation energy: -117 kJ/mol of atoms

a b c (Å): 11.2912 11.7856 11.9208
angles (deg): 90.00 90.00 90.00
Fractional positions:
1 Li 0.1121 0.1326 0.1488
2 Li 0.1121 0.3674 0.6488
3 Li 0.1218 0.5966 0.8531
4 Li 0.1218 0.9034 0.3531
5 Li 0.1335 0.6542 0.0931
6 Li 0.1335 0.8458 0.5931
7 Li 0.1424 0.6386 0.3672
8 Li 0.1424 0.8614 0.8672
9 Li 0.1491 0.1037 0.5996
10 Li 0.1491 0.3963 0.0996
11 Li 0.3509 0.6037 0.5996
12 Li 0.3509 0.8963 0.0996
13 Li 0.3576 0.1386 0.3672
14 Li 0.3576 0.3614 0.8672
15 Li 0.3665 0.1542 0.0931
16 Li 0.3665 0.3458 0.5931
17 Li 0.3782 0.0966 0.8531
18 Li 0.3782 0.4034 0.3531
19 Li 0.3879 0.6326 0.1488
20 Li 0.3879 0.8674 0.6488
21 Li 0.6121 0.1326 0.3512
22 Li 0.6121 0.3674 0.8512
23 Li 0.6218 0.5966 0.6469
24 Li 0.6218 0.9034 0.1469
25 Li 0.6335 0.6542 0.4069
26 Li 0.6335 0.8458 0.9069
27 Li 0.6424 0.6386 0.1328
28 Li 0.6424 0.8614 0.6328
29 Li 0.6491 0.1037 0.9004
30 Li 0.6491 0.3963 0.4004
31 Li 0.8509 0.6037 0.9004
32 Li 0.8509 0.8963 0.4004
33 Li 0.8576 0.1386 0.1328
34 Li 0.8576 0.3614 0.6328
35 Li 0.8665 0.1542 0.4069
36 Li 0.8665 0.3458 0.9069
37 Li 0.8782 0.0966 0.6469
38 Li 0.8782 0.4034 0.1469
39 Li 0.8879 0.6326 0.3512
40 Li 0.8879 0.8674 0.8512
41 Sb 0.0830 0.1454 0.8549
42 Sb 0.0830 0.3546 0.3549
43 Sb 0.4170 0.6454 0.8549
44 Sb 0.4170 0.8546 0.3549
45 Sb 0.5830 0.1454 0.6451
46 Sb 0.5830 0.3546 0.1451
47 Sb 0.9170 0.6454 0.6451
48 Sb 0.9170 0.8546 0.1451
49 S 0.0031 0.7328 0.9573
50 S 0.0031 0.7672 0.4573
51 S 0.0295 0.5298 0.2260
52 S 0.0295 0.9702 0.7260
53 S 0.2150 0.0320 0.9848
54 S 0.2150 0.4680 0.4848
55 S 0.2459 0.7267 0.7391
56 S 0.2459 0.7733 0.2391
57 S 0.2541 0.2267 0.7391
58 S 0.2541 0.2733 0.2391
59 S 0.2850 0.5320 0.9848
60 S 0.2850 0.9680 0.4848
61 S 0.4705 0.0298 0.2260
62 S 0.4705 0.4702 0.7260
63 S 0.4969 0.2328 0.9573
64 S 0.4969 0.2672 0.4573
65 S 0.5031 0.7328 0.5427
66 S 0.5031 0.7672 0.0427
67 S 0.5295 0.5298 0.2740
68 S 0.5295 0.9702 0.7740
69 S 0.7150 0.0320 0.5152
70 S 0.7150 0.4680 0.0152
71 S 0.7459 0.7267 0.7609
72 S 0.7459 0.7733 0.2609
73 S 0.7541 0.2267 0.7609
74 S 0.7541 0.2733 0.2609
75 S 0.7850 0.5320 0.5152
76 S 0.7850 0.9680 0.0152
77 S 0.9705 0.0298 0.2740
78 S 0.9705 0.4702 0.7740
79 S 0.9969 0.2328 0.5427
80 S 0.9969 0.2672 0.0427

---

DFT (PBE-GGA) results for a relaxed Mg2CO5 crystal.

Summary:
E: -49.98 eV per formula unit
total magnetization: 8.007 μB per cell
formation energy: -196 kJ/mol of atoms

a b c (Å): 3.2473 8.9086 12.7706
angles (deg): 90.00 96.68 90.00
Fractional positions:
1 Mg 0.0133 0.0060 0.2921
2 Mg 0.0133 0.4940 0.7921
3 Mg 0.4160 0.7172 0.5825
4 Mg 0.4160 0.7828 0.0825
5 Mg 0.5840 0.2172 0.9175
6 Mg 0.5840 0.2828 0.4175
7 Mg 0.9867 0.5060 0.2079
8 Mg 0.9867 0.9940 0.7079
9 C 0.4689 0.7267 0.3442
10 C 0.4689 0.7733 0.8442
11 C 0.5311 0.2267 0.1558
└──
## Back to the page
Typical sequence of events Event-4 Congestion!! Reduce cwnd ECN Capable Sender ECN Capable Router ECN Capable Receiver ECT set in IP header N-PDU CE set in IP header ECE set in TCP header N-PDU ECE set in TCP header
Typical sequence of events Event-5 Congestion!! Reduce cwnd, set CWR in TCP header ECN Capable Sender ECN Capable Router ECN Capable Receiver N-PDU CWR set in TCP header
Typical sequence of events Event-6 Sender has reduced cwnd, stop setting ECE flag ECN Capable Sender ECN Capable Router ECN Capable Receiver CWR set in TCP header CWR set in TCP header N-PDU N-PDU N-PDU ECE set in TCP header
Advantages of ECN Prevents unnecessary packet drops at routers less retransmissions improvement in the “GOODPUT” Avoids timeouts by getting faster notification to end hosts Less time to identify congestion Non-ECN flows infer congestion from 3 duplicate ACKs or even worse from timeouts as opposed to ECN flows that get congestion notification in the first ACK Fewer retransmissions also means less traffic on the network
Is ECN used? Implemented in Linux 2.4+, Solaris 9+, and Cisco routers since 12.2(8)T
References RFC 3168 – The Addition of Explicit Congestion Notification (ECN) to IP RFC 2309 – Active Queue Management http://www.icir.org/floyd/ecn.html RFC 2884 – Performance Evaluation of ECN in IP Networks Slides from David Wetherall on “Robust Congestion Signalling” Slides from Justin Yackoski, Namratha Hundigopal and Preethi Natarajan
Quick Question Q: Why is the congestion experienced information maintained in the “regular headers” of an IP PDU? Why isn’t the IP options field used to incorporate this information? A: That’s because many routers process the “regular headers” in IP PDUs more efficiently than they process the header information in IP options.